
SftTree/DLL 7.5 - Tree Control



Defines the number of columns displayed in the left pane of a split tree control.


int WINAPI SftTreeSplit_GetSplitColumn(HWND hwndCtl);
BOOL WINAPI SftTreeSplit_SetSplitColumn(HWND hwndCtl, int splitColumn);


int GetSplitColumn() const
BOOL SetSplitColumn(int splitColumn)



Entry 1:
A PBEsol-optimized structure of NaCdI3, computed with meta-GGA SCAN.

Output
**Formation energy (no corrections)**: -0.716 eV/atom
**DOS at the Fermi energy**: 0.3869 states/eV/atom

Lattice parameters (Å, degrees): 5.832 5.832 5.832 90.00 90.00 90.00
Space group Pm-3m (No. 221)
Unique sites:
Na  0.000  0.000  0.000
Cd  0.500  0.500  0.500
I  0.000  0.500  0.500

Entry 2:
A PBEsol-optimized structure of La2ZrAs, computed with meta-GGA SCAN.

Output
**ΔE_f**: -354 meV per atom
**DOS at the Fermi energy**: 1.0639 states/eV/atom

Lattice parameters (Å, degrees): 3.969 4.205 11.726 90.00 90.00 90.00
Space group Immm (No. 71)
Unique sites:
La  0.000  0.000  0.209
Zr  0.000  0.500  0.000
As  0.000  0.500  0.500

Entry 3:
A PBEsol-optimized structure of BaSr2Fe, computed with meta-GGA SCAN.

Output
**ΔE_f**: 597 meV per atom
**DOS at the Fermi energy**: 1.1466 states/eV/atom

Lattice parameters (Å, degrees): 5.277 5.277 5.316 90.00 90.00 90.00
Space group P4/mmm (No. 123)
Unique sites:
Ba  0.000  0.000  0.000
Sr  0.000  0.500  0.500
Fe  0.500  0.500  0.000

Entry 4:
A PBEsol-optimized structure of FeRu5, computed with meta-GGA SCAN.

Output
**ΔE_f**: 57 meV per atom
**DOS at the Fermi energy**: 0.8486 states/eV/atom

Lattice parameters (Å, degrees): 4.185 2.662 13.743 90.00 90.00 90.00
Space group Amm2 (No. 38)
Unique sites:
Fe  0.000  0.000  0.000
Ru  0.000  0.000  0.335
Ru  0.000  0.000  0.663
Ru  0.500  0.000  0.222
Ru  0.500  0.000  0.552
Ru  0.500  0.000  0.891

Entry 5:
A PBEsol-optimized structure of CaY2In2, computed with meta-GGA SCAN.

Output
**ΔE_f**: -563 meV per atom
**DOS at the Fermi energy**: 0.7471 states/eV/atom

Lattice parameters (Å, degrees): 8.479 8.479 3.917 90.00 90.00 90.00
Space group P4/mbm (No. 127)
Unique sites:
Ca  0.000  0.000  0.000
Y  0.174  0.326  0.500
In  0.125  0.625  0.000

Entry 6:
A PBEsol-optimized structure of La2MgBe, computed with meta-GGA SCAN.

Output
**ΔE_f**: 251 meV per atom
**DOS at the Fermi energy**: 0.8644 states/eV/atom

Lattice parameters (Å, degrees): 3.4741 3.4741 30.9018 90.00 90.00 120.00
Space group R-3m (No. 166, hexagonal axes)
Unique sites:
La  0.0000  0.0000  0.2345
Mg  0.0000  0.0000  0.0000
Be  0.0000  0.0000  0.5000

Entry 7:
A PBEsol-optimized structure of Tl12In17, computed with meta-GGA SCAN.

Output
**ΔE_f**: 101 meV per atom
**DOS at the Fermi energy**: 0.4616 states/eV/atom

Lattice parameters (Å, degrees): 11.621 11.621 11.621 90.00 90.00 90.00
Space group I-43m (No. 217)
Unique sites:
Tl  0.095  0.095  0.289
In  0.000  0.000  0.000
In  0.051  0.362  0.362
In  0.175  0.175  0.825

Entry 8:
A PBEsol-optimized structure of RbYIn2P, computed with meta-GGA SCAN.

Output
**ΔE_f**: 1623 meV per atom
**DOS at the Fermi energy**: 0.8607 states/eV/atom

Lattice parameters (Å, degrees): 5.624 5.624 5.769 90.00 90.00 90.00
Space group P4/mmm (No. 123)
Unique sites:
Rb  0.000  0.000  0.000
Y  0.000  0.000  0.500
In  0.000  0.500  0.000
P  0.500  0.500  0.500

Entry 9:
(Here the page continues)

The window handle of the tree control.


The number of columns displayed in the left pane of a split tree control. The number specified must be between 1 and the total number of columns - 1. The total number of columns is defined using SetColumns.


GetSplitColumn returns the number of columns displayed in the left pane.


The GetSplitColumn and SetSplitColumn functions define the number of columns displayed in the left pane of a split tree control.

┌──
This record from Alexandria describes a relaxed Na2MnIO4 crystal. The functional is PBE+U. Values from VASP.

Values from the calculation:
- Symmetry: I-4 (82)
- E: -39.1 eV/cell

Quantum ESPRESSO input file:
```
&SYSTEM
  ibrav = 0, nat = 8, ntyp = 4
/
ATOMIC_SPECIES
Na 22.99 Na.upf
Mn 54.94 Mn.upf
I 126.90 I.upf
O 16.00 O.upf
CELL_PARAMETERS angstrom
-3.6566 3.6566 3.0749
3.6566 -3.6566 3.0749
3.6566 3.6566 -3.0749
ATOMIC_POSITIONS crystal
└──

GetSplitColumn and SetSplitColumn are only available for a split tree control.

A splitter bar is always present in a split tree control, it cannot be removed.



                SFTTREE_NOCOLOR,             /* Selected cell foreground color */
                0,                           /* Real column position (set by SetColumns call) */
                2,                           /* Display column number (display position) */
                0,                           /* Column flag */
                30,                          /* Minimum column width */
            SftTreeSplit_SetColumnsEx(g_hwndTree, 3, aCol);/* Set column attributes */
            SftTreeSplit_SetSplitColumn(g_hwndTree, 1);/* Column split position */

=====
1:
# Hf5Zr6

Hf5Zr6 after structural relaxation (PBE, Alexandria).

Output
Theoretical density (Mg/m³): 9.333
DOS at the Fermi energy (states/eV/cell): 12.3
V (Å³/cell): 256.2

Cell lengths 9.166, 7.567, 5.392 Å; angles 72.04, 59.39, 52.72 degrees
Fractional positions:
Hf  0.500  0.000  0.500
Hf  0.367  0.265  0.000
Hf  0.633  0.735  0.000
Hf  0.233  0.534  0.500
Hf  0.767  0.466  0.500
Zr  0.818  0.000  0.594
Zr  0.182  0.000  0.406
Zr  0.322  0.722  0.894
Zr  0.956  0.722  0.106
Zr  0.678  0.278  0.106
Zr  0.044  0.278  0.894

=====

2:
# Hf5Zr6

Hf5Zr6 after structural relaxation (PBE, Alexandria).

Output
Theoretical density (Mg/m³): 9.378
DOS at the Fermi energy (states/eV/cell): 11.3
V (Å³/cell): 254.9

Cell lengths 4.859, 8.376, 8.376 Å; angles 116.37, 106.88, 106.88 degrees
Fractional positions:
Hf  0.500  0.500  0.500
Hf  0.000  0.656  0.344
Hf  0.000  0.344  0.656
Hf  0.500  0.795  0.205
Hf  0.500  0.205  0.795
Zr  0.711  0.211  0.211
Zr  0.289  0.789  0.789
Zr  0.797  0.657  0.936
Zr  0.203  0.064  0.343
Zr  0.203  0.343  0.064
Zr  0.797  0.936  0.657

=====

Stability comparison, relative energies in eV/atom: 1 0.005; 2 0.000

=====

1:
# Hf5Zr7

Hf5Zr7 after structural relaxation (PBE, Alexandria).

Output
Theoretical density (Mg/m³): 9.250
DOS at the Fermi energy (states/eV/cell): 17.7
V (Å³/cell): 274.9

Cell lengths 4.485, 7.137, 9.586 Å; angles 72.77, 76.47, 71.69 degrees
Fractional positions:
Hf  0.669  0.662  0.999
Hf  0.916  0.414  0.753
Hf  0.333  0.336  0.999
Hf  0.750  0.253  0.247
Hf  0.581  0.086  0.752
Zr  0.999  0.003  0.998
Zr  0.415  0.921  0.248
Zr  0.832  0.835  0.501
Zr  0.250  0.747  0.753
Zr  0.087  0.579  0.247
Zr  0.501  0.496  0.502
Zr  0.166  0.168  0.501

=====

2:
# Hf5Zr7

Hf5Zr7 after structural relaxation (PBE, Alexandria).

Output
Theoretical density (Mg/m³): 9.133
DOS at the Fermi energy (states/eV/cell): 17.7
V (Å³/cell): 278.4

Cell lengths 5.054, 5.057, 12.961 Å; angles 102.10, 90.00, 119.98 degrees
Fractional positions:
Hf  0.146  0.293  0.442
Hf  0.854  0.707  0.558
Hf  0.393  0.787  0.199
Hf  0.607  0.213  0.801
Hf  0.000  0.000  0.000
Zr  0.229  0.458  0.676
Zr  0.771  0.542  0.324
Zr  0.065  0.129  0.215
Zr  0.935  0.871  0.785
Zr  0.688  0.376  0.080
Zr  0.500  0.000  0.500
Zr  0.312  0.624  0.920

=====

Stability comparison, relative energies in eV/atom: 1 0.000; 2 0.167

=====

1:
# Hf4Zr3

Hf4Zr3 after structural relaxation (PBE, Alexandria).

Output
Theoretical density (Mg/m³): 10.262
DOS at the Fermi energy (states/eV/cell): 10.4
V (Å³/cell): 319.6

Cell lengths 5.103, 8.505, 8.505 Å; angles 120.00, 90.00, 90.00 degrees
Fractional positions:
Hf  0.250  0.480  0.097
Hf  0.750  0.520  0.903
Hf  0.250  0.333  0.667
Hf  0.750  0.097  0.617
Hf  0.250  0.617  0.520
Hf  0.750  0.383  0.480
Hf  0.250  0.903  0.383
Hf  0.750  0.667  0.333
Zr  0.750  0.241  0.049
Zr  0.250  0.759  0.951
Zr  0.250  0.049  0.808
Zr  0.750  0.808  0.759
Zr  0.250  0.192  0.241
Zr  0.750  0.951  0.192

=====

2:
=====

        SftTreeSplit_SetShowRowHeader(g_hwndTree, SFTTREE_ROWSTYLE_BUTTONCOUNT0);/* Row style */
        /* Register the row header picture size.  All row header   */
        /* pictures used must be the same size.  Only one picture  */
        /* needs to be registered, even if several are used.       */


            SFTTREE_NOCOLOR,             /* Selected cell foreground color */
            0,                           /* Real column position (set by SetColumns call) */
            2,                           /* Display column number (display position) */
            0,                           /* Column flag */
            30,                          /* Minimum column width */
        m_Tree.SetColumns(3, aCol);      /* Set column attributes */
        m_Tree.SetSplitColumn(1);        /* Column split position */

    m_Tree.SetShowRowHeader(SFTTREE_ROWSTYLE_BUTTONCOUNT0);/* Row style */
    /* Register the row header picture size.  All row header   */
    /* pictures used must be the same size.  Only one picture  */
    /* needs to be registered, even if several are used.       */

See Also C/C++ API | Categories | Notifications